This is not a fashion week!
Fashion Revolution movement was founded by Orsola de Castro in the wake of the Rana Plaza (Bangladesh) disaster on 24 April 2013, where 1134 people died and 2515 were injured including many children because there were also kindergartens in the building.
The eight floors building contained a number of mainly fast fashion garment factories, a bank, flats and numerous other shops. When cracks were noticed in the building, the shops and the bank on the lower floors were closed, while the warning to avoid using the building was ignored by the owners of the textile factories. In fact, the workers were ordered to return the next day, the day the building collapsed during the morning rush hour.+
If you read the labels on the clothes in your wardrobe, how many of your clothes are made in Bangladesh? A lot. Even in mine. Because this is one of the countries where big companies have their clothes made because labour is cheaper. Sustainability does not only mean research and quality of materials and respect for the environment, but also guaranteeing workers in the textile industry an adequate quality of work and a salary that guarantees a dignified lifestyle.
What Fashion Revolution aims to?
- An end to human and environmental exploitation in the global fashion industry
- Safe, dignified working conditions and living wages for all people in the supply chain
- Redistributed and more equal balance of power across the global fashion industry
........
i:
DFT (ωB97M-V with the def2-TZVPD basis set) results for a 9-piece molecular cluster, H19O9 overall.

Geometry (Å):
O -0.5953 0.6046 -2.5710
O -0.2789 -2.9183 1.0603
O 1.7758 1.8967 0.9333
O -1.9363 -0.5081 3.5409
O -2.8764 0.2552 -0.1479
O -0.4598 -0.7231 -0.0624
O 2.0253 -0.3394 -3.1537
O 3.1581 -1.6106 0.9421
O -1.4500 3.5574 -1.4891
H 2.0806 -0.7530 -4.0142
H 0.5855 -3.1830 1.4061
H -0.8405 -2.9953 1.8447
H 0.2541 0.0991 -2.5810
H -1.4683 -0.5529 -0.0415
H 2.6555 2.1963 0.6648
H -3.6058 0.2003 0.4796
H 1.9077 1.9526 1.8905
H 2.2411 0.5828 -3.3464
H -0.1922 1.4245 -2.2411
H -2.3830 3.7222 -1.6258
H -2.3891 1.0660 0.0314
H -1.1912 3.0863 -0.7047
H -1.9671 0.3155 4.0395
H 3.6665 -1.5639 0.1209
H -0.2537 -0.7848 -1.0059
H 3.7035 -2.2491 1.4224
H -0.4164 -1.6421 0.3582
H -1.7498 -1.1361 4.2498

Properties
**Orbital gap**: 11.40 eV
**Net charge**: +1
**HOMO energy**: -14.2814 eV
**E_LUMO**: -2.9 eV

ii:
DFT (ωB97M-V with the def2-TZVPD basis set) results for H19O9 as an isolated structure.

Geometry (Å):
O -1.4291 -0.5566 2.4628
O -0.2030 -2.8845 1.1205
O -3.1269 -2.0146 0.7238
O 1.9756 1.5990 -0.0283
O 0.9510 0.0766 -1.7810
O 4.0018 1.2939 1.7912
O -0.6160 -0.5871 -0.0443
O -3.0144 2.8339 -0.3811
O 1.0797 0.4941 -4.5971
H -2.3221 3.4740 -0.2031
H 2.4416 1.5118 0.8283
H -3.4236 -1.1474 0.4400
H 1.6976 0.5537 -1.2880
H -0.2659 -0.3732 0.8292
H 3.9597 1.7058 2.6634
H 1.7667 -0.1755 -4.6780
H 0.5682 0.5564 -2.5368
H 2.4507 2.2301 -0.5812
H -1.2622 -0.9750 3.3135
H 4.7791 1.6467 1.3423
H 0.2957 -0.2892 -0.8849
H 0.1171 -2.4620 1.9205
H -2.8341 1.9424 -0.0559
H 0.2394 0.0279 -4.7249
H -3.8197 -2.6476 0.9231
H -1.0811 -3.2463 1.2809
H -0.6665 -1.6019 -0.0006
H -2.2597 -0.9853 2.1458

Properties
**Orbital gap**: 11.02 eV
**Net charge**: +1
**HOMO energy**: -13.8844 eV
**E_LUMO**: -2.9 eV

Structures ranked by computed energy, the most stable listed first: ii, i.

i:
DFT (ωB97M-V with the def2-TZVPD basis set) results for one molecule with the formula C23H31N3O2.

Geometry (Å):
O 2.6948 -3.7593 -0.5613
O -0.2772 0.2127 0.5595
N -0.2461 2.4674 0.4574
N 3.9325 1.7817 0.1209
N 1.8325 -1.8632 0.3013
C -2.7505 0.3077 -0.9209
C -4.4845 2.2957 -0.0157
C -2.2792 1.3125 -0.0834
C 3.0215 -1.0704 0.1074
C -0.8397 -5.8560 0.0810
C -3.1517 2.2982 0.3673
C 1.7394 -3.1430 -0.1140
C 0.3581 -5.1803 -0.0520
C -4.9346 1.2927 -0.8689
C 1.9567 3.1798 -0.3916
C 3.4569 3.1337 -0.0990
C 5.1856 1.7612 0.8456
C -0.8510 1.2677 0.3397
C 0.4008 -3.7928 0.0518
C 1.1535 2.6210 0.7834
C -1.9892 -3.7659 0.4115
C 2.8593 -0.1057 -1.0707
C 3.9576 0.9609 -1.0867
C -5.4302 3.3524 0.4680
C -4.0755 0.3064 -1.3170
C -2.0082 -5.1527 0.3129
C -3.2627 -3.0079 0.6464
C -0.7820 -3.0949 0.2787
H -6.3214 2.8979 0.8967
H -3.8380 -3.4648 1.4499
H -0.7884 -2.0182 0.3513
H -5.9709 1.2854 -1.1746
H -3.8799 -3.0196 -0.2524
H -0.8647 -6.9335 0.0043
H 5.0531 2.2633 1.8039
H -2.8006 3.0589 1.0515
H 3.8412 1.5867 -1.9817
H 1.2815 -5.7080 -0.2372
H 3.6478 3.7063 0.8128
H -4.4398 -0.4697 -1.9733
........
Here the piece continues:
- A bigger and stronger labour movement in the global fashion industry
- A global fashion industry that works to conserve precious resources and regenerate ecosystems
- A culture of transparency and accountability across the value chain
- An end to throwaway culture and shift to a system where materials are used for much longer and nothing goes to waste
- Heritage, craftsmanship and local wisdom are recognised and valued
Inserted here: records of molecules >
┌──
No. 1
Density functional theory data (ωB97M-V with the def2-TZVPD basis set) for C8H15N3O5 in the gas phase in a non-equilibrium geometry.

Last column: Mulliken charge in e.
Atoms and positions in Å:
C1 -2.59008 -0.70583 -1.09530  -0.925
C2 3.10769 -0.21876 -0.50619  -0.028
H1 2.97429 -2.07527 -0.00435  0.390
C3 -3.66467 -1.14340 -0.07332  0.319
H2 3.34136 1.40518 0.90707  0.285
C4 0.77785 -0.77303 0.29897  0.409
N1 -0.60564 -0.61420 0.38320  0.022
C5 3.69496 0.33024 0.79577  -1.234
H3 -4.11052 -1.29431 1.80378  0.253
N2 1.25263 1.43001 -0.61782  -0.505
O1 -1.30268 1.82731 1.11174  -0.425
H4 -2.81527 -0.19768 1.61864  0.185
O2 1.32118 -1.50274 1.11749  -0.742
H5 -0.68884 0.42595 -1.36563  0.574
H6 3.38622 -0.24575 1.63175  0.277
H7 -0.94818 -1.19260 1.16367  0.274
C6 -1.40417 0.13747 -0.57342  0.137
H8 1.86982 2.06012 -1.17918  0.268
H9 4.81091 0.27641 0.72690  0.360
H10 -2.27930 -1.69336 -1.58868  0.323
O3 -2.62777 2.24910 -0.52761  -0.580
H11 -3.14083 -0.10557 -1.84846  0.304
O4 -4.66093 -1.61625 -0.53555  -0.599
N3 -3.37701 -0.98962 1.22430  -0.312
H12 3.67949 0.29877 -1.35938  0.415
O5 3.39207 -1.57200 -0.73137  -0.589
C7 1.58749 -0.01232 -0.72364  -0.058
H13 1.10925 1.69769 0.37337  0.234
C8 -1.87670 1.49747 -0.02469  0.379
H14 -1.51052 2.75265 1.32823  0.350
H15 1.29791 -0.43570 -1.73030  0.234

Summary:
Multiplicity = 1
HOMO-LUMO gap = 0.36021 Ha
SMILES string = C[C@@H](O)[C@H](N)C(=O)N[C@@H](CC(N)=O)C(=O)O

No. 2
Density functional theory data (ωB97M-V with the def2-TZVPD basis set) for C12H11I in the gas phase in a non-equilibrium geometry.

Last column: Mulliken charge in e.
Atoms and positions in Å:
C1 -0.41875 -0.19679 -0.73104  -0.288
C2 2.93891 -1.05108 1.74265  -0.684
H1 -0.03489 0.70683 1.71243  -0.099
H2 -3.48360 1.02834 -1.54093  0.462
C3 0.77376 0.04876 1.33057  0.002
C4 -1.56013 2.07619 0.36895  -1.112
C5 2.98770 -1.28501 0.38882  -0.500
C6 0.72534 -0.46946 0.05691  1.508
H3 1.76731 -1.60931 -1.44001  0.201
H4 -2.49235 -0.33243 -3.33993  0.375
I1 -2.45177 -0.84546 1.25346  0.148
H5 -0.32762 -1.35900 -2.67434  0.378
C7 -2.55166 0.54535 -1.41955  -1.071
H6 1.57265 0.04806 3.20096  0.368
H7 3.91104 -1.81857 0.03408  0.289
C8 1.78986 -0.28697 2.19872  -0.567
H8 -2.42298 2.67580 0.07665  0.372
C9 -1.65308 0.64137 -0.22205  0.380
C10 1.84411 -1.17670 -0.37434  -0.272
H9 -0.67342 2.53326 -0.06777  0.331
H10 -1.46290 2.02363 1.54856  0.323
C11 -0.66667 -0.61913 -1.97983  -0.445
H11 3.87139 -1.14108 2.24312  0.370
C12 -1.98224 -0.13660 -2.36608  -0.469

Summary:
Multiplicity = 1
HOMO-LUMO gap = 0.28139 Ha
SMILES string = C[C@@]1(I)C=CC=C1c1ccccc1

No. 3
Density functional theory data (ωB97M-V with the def2-TZVPD basis set) for a molecular structure, C10H22MnN4O4.

Last column: Mulliken spin population.
Atoms and positions in Å:
O1 -0.81110 0.59402 1.98182  0.012
C1 -0.91882 -2.87630 0.14816  -0.005
H1 -0.03344 -3.96647 -3.01784  0.000
H2 -1.22067 -1.92284 0.59097  0.006
C2 -2.47673 1.59676 -0.91994  -0.001
└──

What can you do to change the fashion system?
The theme for this year’s Fashion Revolution Week is MONEY FASHION POWER.
The mainstream fashion industry is built upon the exploitation of labour and natural resources. Wealth and power are concentrated in the hands of a few, and growth and profit are rewarded above all else. Big brands and retailers produce too much too fast, and manipulate us into a toxic cycle of overconsumption. Meanwhile, the majority of people that make our clothes are not paid enough to meet their basic needs, and already feel the impacts of the climate crisis – which the fashion industry fuels. As global citizens, we all have the power to take action. So what you can do?
• Data records, kept here for reference:
<<<
1.
ORCA calculation (the ωB97M-V functional and the def2-TZVPD basis) on a molecular structure, C26H61Cl2FN7NbO7PS in a non-equilibrium geometry.

## Properties
Total charge = -1
LUMO level = 1.6 eV

Last column: Löwdin charge in e.
Atoms and positions in Å:
H -2.112 -1.457 0.755  0.134
F 5.005 4.838 3.115  -0.212
C 3.985 2.579 3.788  -0.410
O 2.417 -4.291 -2.154  -0.008
N 5.566 -0.326 7.557  -0.206
H 0.181 9.951 1.585  0.086
N -0.855 8.444 2.569  -0.210
H 3.823 -1.097 6.737  0.116
H 3.338 0.114 2.319  -0.098
H -3.510 -1.789 -2.258  0.069
H -10.463 -5.022 -6.159  0.093
H 3.058 0.090 4.919  -0.118
H -1.593 10.093 1.489  0.079
Nb 2.328 1.038 3.549  1.211
C -3.285 -2.373 -1.361  -0.081
H 3.356 -0.105 -3.735  0.096
C -1.900 8.471 3.468  -0.334
H 5.002 2.084 3.446  0.053
C 1.180 1.681 0.518  -0.637
H 4.960 -0.590 -3.137  0.095
H -7.966 -7.061 -5.876  0.089
H -7.332 0.790 -4.888  0.087
H -2.625 9.276 3.263  0.123
C 2.996 -5.025 -1.364  -0.336
H 3.006 -3.411 1.574  0.098
H -8.635 -0.434 -4.858  0.082
C -5.945 -1.974 -4.181  -0.336
H -6.541 -5.990 -5.913  0.090
N 3.224 -4.746 -0.033  -0.206
H -1.513 -3.193 -2.994  0.087
C 3.773 3.978 2.960  -0.258
H -0.583 1.985 4.939  -0.092
H 3.610 3.789 1.817  0.100
H 4.215 -6.573 0.297  0.078
P 0.822 2.181 5.303  -0.063
H 4.812 -5.179 1.234  0.089
H 0.642 7.546 3.700  0.097
O -5.326 -2.612 -3.339  -0.014
S 1.113 1.335 7.058  -0.181
Cl 0.389 3.829 2.321  0.373
C -9.709 -5.203 -6.932  -0.052
O 5.086 -0.425 5.295  -0.074
C 5.457 1.895 -5.103  -0.074
H 4.997 3.123 -2.873  0.131
C 0.174 7.436 2.717  -0.055
H 3.254 -5.947 1.662  0.088
H -7.319 -6.483 -7.440  0.088
C 1.839 0.288 -0.043  -0.188
C 2.754 -3.489 0.513  -0.037
H 4.146 -1.067 8.922  0.086
H 0.932 7.540 1.935  0.092
H -5.801 -2.153 -5.259  0.127
Cl 0.266 2.744 -0.751  0.402
H 6.720 1.239 6.819  0.092
O -8.733 -2.893 -5.673  0.010
H 5.855 -1.281 9.379  0.080
H -9.820 -4.447 -7.715  0.092
H -7.246 -0.634 -5.956  0.083
C 5.135 -0.603 8.911  -0.072
H 1.916 -0.579 0.739  0.018
H 2.875 0.467 -0.608  0.067
H -7.531 -1.533 -2.021  0.094
H -7.007 -3.910 -5.336  0.112
H -3.578 -3.415 -1.516  0.085
C -0.754 9.393 1.480  -0.074
C 3.918 -5.671 0.838  -0.072
C 1.249 2.198 1.913  -0.757
H 3.218 -2.666 -0.037  0.094
H 1.100 3.604 5.390  -0.101
N -1.859 -2.321 -1.115  -0.201
H 3.394 -6.005 -1.673  0.122
O 4.137 1.674 -1.738  0.001
H 2.901 4.623 3.458  0.083
H 6.363 1.328 -5.334  0.085
H -0.287 -2.014 -2.441  0.091
C -1.337 -1.810 0.054  -0.296
O -2.048 7.701 4.409  0.007
H -6.235 -0.315 -2.051  0.093
H 1.099 -0.108 -0.892  0.070
C 6.859 0.292 7.347  -0.058
H 4.751 1.815 -5.934  0.085
H 5.719 2.945 -4.953  0.082
C -7.497 -6.219 -6.393  -0.062
H 5.097 0.337 9.469  0.087
H 4.107 2.862 4.922  0.047
C -7.158 -0.644 -2.538  -0.040
N 4.845 1.335 -3.916  -0.210
H -3.846 -1.964 -0.516  0.085
C -7.559 -0.276 -4.972  -0.081
C 4.784 -0.631 6.464  -0.357
N -6.868 -0.985 -3.915  -0.191
H 4.652 -0.512 -4.897  0.084
H 7.360 0.473 8.302  0.081
H -0.286 6.445 2.654  0.043
>>>
• The data records stop here:
- Take a photo with your favourite garment and tag the brand by asking #whomademyclothes? or #whomademyfabric?
- Share the contents of Fashion Revolution and make your friends and acquaintances aware of these important issues (download materials here)
- Find your local country team and participate in the events, if you are from Milan join us! Here
Fashion Revolution is the largest fashion activism movement in the world, mobilising citizens, brands and policy makers through research, education and advocacy. Want to change the fashion world? JOIN US!
Read the article I wrote for the last edition of Fashion Revolution Week 2021 Here